_File_
/*
1.
The following is a DFT calculation (ωB97M-V with the def2-TZVPD basis set) of a single C3H5IN2 molecule.

Output
Orbital gap (alpha / beta): 5.4 / 7.0 eV
ΔE to the lowest compared entry with this formula, charge and spin: 1.096 eV
Spin multiplicity: 3

```
11
C3H5IN2, DFT ωB97M-V with the def2-TZVPD basis set
C -0.472 -0.896 0.109
N -1.089 -0.427 1.132
H -0.572 1.535 0.602
I -2.782 -0.844 1.982
H 1.639 -0.726 0.155
H 0.909 -0.896 -1.324
N 0.132 1.905 0.012
H -0.860 -1.775 -0.368
C 0.759 -0.451 -0.403
C 0.820 1.086 -0.595
H 1.516 1.489 -1.303
```



2.
The following is a DFT calculation (ωB97M-V with the def2-TZVPD basis set) of a single C3H5IO molecule.

Output
Orbital gap: 9.9 eV
SMILES: C[C@H]1O[C@@H]1I
ΔE to the lowest compared entry with this formula, charge and spin: 1.340 eV

```
10
C3H5IO, DFT ωB97M-V with the def2-TZVPD basis set
C -1.124 -0.305 0.554
H -0.350 0.144 -1.494
H 2.130 -0.357 -0.608
H -1.190 0.019 1.775
H 1.594 0.354 0.898
C -0.080 -0.184 -0.450
C 1.305 0.289 -0.159
H 1.478 1.263 -0.637
I -3.142 0.276 0.023
O -0.621 -1.498 0.098
```



3.
The following is a DFT calculation (ωB97M-V with the def2-TZVPD basis set) of a molecular structure, C3H5LiO3Yb.

Output
Orbital gap (alpha / beta): 9.1 / 7.1 eV
Net charge: +3
ΔE to the lowest compared entry with this formula, charge and spin: 0.000 eV
Spin multiplicity: 2

```
13
C3H5LiO3Yb, DFT ωB97M-V with the def2-TZVPD basis set
H 0.452 1.169 1.082
Yb -1.893 -0.850 1.378
C 0.808 0.804 0.108
H -2.118 1.296 -1.576
O -0.078 -1.469 0.531
H 1.284 -0.987 -0.949
Li 0.301 -3.252 0.357
C -1.327 1.475 -0.732
O -0.073 1.294 -0.940
H 1.763 1.294 -0.108
C 1.009 -0.697 0.080
H 1.895 -0.875 0.715
O -2.023 0.799 0.054
```



4.
The following is a DFT calculation (ωB97M-V with the def2-TZVPD basis set) of a molecular structure, C3H5LiO4Sn.

Output
Orbital gap (alpha / beta): 10.5 / 6.9 eV
Net charge: +3
Spin multiplicity: 2

```
14
C3H5LiO4Sn, DFT ωB97M-V with the def2-TZVPD basis set
Li -2.326 0.534 2.610
C 0.997 1.026 -1.138
C -0.813 -1.209 0.934
O -0.553 -2.341 0.487
H 2.043 1.345 -1.399
O -0.157 -0.112 0.581
H 1.898 0.233 0.151
C 0.888 -0.217 -0.334
H 0.801 -1.112 -0.960
O 0.060 2.127 -0.747
H 0.146 2.920 -1.317
H 0.746 0.851 -2.235
Sn -1.953 -2.996 1.614
O -1.777 -1.049 1.752
```
*/
_Work order_
Your job: quote the lines earlier on up to the one that holds "-1.893 -0.850", that line included.
_Written answer_
1.
The following is a DFT calculation (ωB97M-V with the def2-TZVPD basis set) of a single C3H5IN2 molecule.

Output
Orbital gap (alpha / beta): 5.4 / 7.0 eV
ΔE to the lowest compared entry with this formula, charge and spin: 1.096 eV
Spin multiplicity: 3

```
11
C3H5IN2, DFT ωB97M-V with the def2-TZVPD basis set
C -0.472 -0.896 0.109
N -1.089 -0.427 1.132
H -0.572 1.535 0.602
I -2.782 -0.844 1.982
H 1.639 -0.726 0.155
H 0.909 -0.896 -1.324
N 0.132 1.905 0.012
H -0.860 -1.775 -0.368
C 0.759 -0.451 -0.403
C 0.820 1.086 -0.595
H 1.516 1.489 -1.303
```



2.
The following is a DFT calculation (ωB97M-V with the def2-TZVPD basis set) of a single C3H5IO molecule.

Output
Orbital gap: 9.9 eV
SMILES: C[C@H]1O[C@@H]1I
ΔE to the lowest compared entry with this formula, charge and spin: 1.340 eV

```
10
C3H5IO, DFT ωB97M-V with the def2-TZVPD basis set
C -1.124 -0.305 0.554
H -0.350 0.144 -1.494
H 2.130 -0.357 -0.608
H -1.190 0.019 1.775
H 1.594 0.354 0.898
C -0.080 -0.184 -0.450
C 1.305 0.289 -0.159
H 1.478 1.263 -0.637
I -3.142 0.276 0.023
O -0.621 -1.498 0.098
```



3.
The following is a DFT calculation (ωB97M-V with the def2-TZVPD basis set) of a molecular structure, C3H5LiO3Yb.

Output
Orbital gap (alpha / beta): 9.1 / 7.1 eV
Net charge: +3
ΔE to the lowest compared entry with this formula, charge and spin: 0.000 eV
Spin multiplicity: 2

```
13
C3H5LiO3Yb, DFT ωB97M-V with the def2-TZVPD basis set
H 0.452 1.169 1.082
Yb -1.893 -0.850 1.378